Reversible Cable Scarf

I didn’t originally plan this to be my next post, but I wanted something upbeat, and this project is that for me.

The yarn is a yarn that I spun from Fiber Optic’s BFL/silk roving dyed in the Espresso-Crimson-Gold gradient. The pattern is based on something that I saw in a kntting magazine back in the 80’s for a baby blanket. In fact, I did a similar design for some scarves that I knit my nieces about 15 years ago.

Here is the “pattern” if you are interested in making your own. Pattern is in quotes because I am just going to give you general guidelines for how to do this rather than specific stitch counts and such so that you can do this with any yarn you wish, and do as many cables and such as you desire.

The reversible cable is done over a 1×1 rib (knit one, purl one). For this scarf, the cable is over 12 stitches. You will probably want the stitch count for each cable to be a multiple of 4, because of when you actually get to doing the cable, a multiple of 4 stitches will keep the cable looking the same on both sides of the work. (A knit/purl pair on each leg of the cable. (1k + 1p) x 2 = 4 sts.)

To do the cable, slip half of the stitches for the cable onto a cable needle (or whatever spare needle you might have on hand. I frequently use a double point that happens to be lying around). Knit one, purl one for the other half of the stitches for the cable. Now, knit one, purl one the stitches that you slipped onto the cable needle. All of the other rows of the cable are just knit one, purl one across.

**Quantum chemistry results, as found in the file:**
********
The following is a DFT calculation (the ωB97M-V functional and the def2-TZVPD basis) of a cluster of 7 separate species, C47H42F48NO10 in total at a distorted geometry.

XYZ file:
```
148
C47H42F48NO10, DFT the ωB97M-V functional and the def2-TZVPD basis
C 3.319 2.577 4.546
C 3.845 3.796 3.720
C 4.893 3.731 2.698
C 5.235 4.960 1.991
C 4.613 6.262 2.242
C 3.580 6.337 3.267
C 2.802 7.664 3.625
C 1.285 7.237 3.715
C 0.765 6.463 2.580
C -0.629 5.985 2.607
C -1.140 5.129 1.418
O -2.093 5.368 0.751
O -0.450 3.948 1.140
C -1.427 6.337 3.801
C -2.897 5.846 3.955
C -2.923 4.250 3.943
O -1.984 3.686 4.879
C -0.825 3.211 4.275
O -0.712 2.195 3.674
C -0.799 7.121 4.850
N 0.510 7.556 4.804
C 3.235 5.093 3.982
H 3.053 1.778 3.795
H 4.050 2.190 5.295
H 2.349 2.818 5.066
H 5.376 2.745 2.510
H 6.008 4.916 1.192
H 4.871 7.189 1.671
H 2.894 8.445 2.832
H 3.120 8.077 4.624
H 1.442 6.231 1.731
H 0.485 4.035 1.410
H -3.260 6.161 4.973
H -3.533 6.284 3.139
H -3.956 3.972 4.294
H -2.803 3.846 2.904
H 0.085 3.881 4.371
H -1.402 7.386 5.755
H 0.935 8.092 5.568
H 2.420 5.149 4.752
C 0.372 -0.674 1.705
C 0.330 -0.020 0.310
C -1.050 0.393 -0.202
F -1.897 -0.646 -0.310
F -0.945 0.940 -1.441
F 0.952 -0.835 -0.573
F 1.097 1.113 0.377
O 0.410 -2.098 1.753
C -0.804 -2.790 1.666
C -0.907 -3.636 0.393
F -0.758 -2.882 -0.717
F -2.124 -4.222 0.314
F -1.831 -1.929 1.810
F -0.848 -3.606 2.738
H 1.323 -0.371 2.146
H -0.387 -0.265 2.375
H -1.500 1.143 0.455
H -0.141 -4.414 0.381
C -4.974 -0.297 -1.640
C -4.853 -0.751 -3.108
C -5.115 0.324 -4.167
F -6.353 0.843 -4.095
F -4.990 -0.208 -5.409
F -5.650 -1.831 -3.296
F -3.578 -1.191 -3.287
O -6.218 -0.565 -0.986
C -7.255 0.355 -1.182
C -8.439 -0.244 -1.950
F -8.055 -0.731 -3.150
F -9.378 0.701 -2.186
F -6.769 1.471 -1.757
F -7.671 0.723 0.052
H -4.247 -0.890 -1.085
H -4.656 0.737 -1.499
H -4.391 1.139 -4.081
H -8.899 -1.059 -1.388
C -8.086 -3.658 -5.157
C -7.298 -4.938 -5.500
C -7.448 -5.467 -6.927
F -8.719 -5.785 -7.234
F -6.715 -6.598 -7.085
F -7.606 -5.898 -4.596
F -5.978 -4.652 -5.307
O -9.342 -3.825 -4.495
C -10.468 -4.092 -5.280
C -11.055 -5.482 -5.016
F -10.144 -6.454 -5.226
F -12.092 -5.723 -5.851
F -10.179 -3.882 -6.578
F -11.388 -3.159 -4.946
H -7.476 -3.119 -4.430
H -8.163 -2.981 -6.010
H -7.087 -4.734 -7.654
H -11.407 -5.564 -3.985
C 6.104 -1.049 -1.142
C 5.240 -1.419 0.081
C 4.392 -0.290 0.671
F 5.132 0.751 1.105
F 3.691 -0.740 1.747
F 6.031 -1.974 1.032
F 4.389 -2.402 -0.318
O 7.477 -0.733 -0.901
C 7.789 0.572 -0.513
C 8.355 0.643 0.909
F 7.500 0.118 1.813
F 8.568 1.932 1.269
F 6.717 1.372 -0.691
F 8.728 1.008 -1.378
H 6.147 -1.948 -1.759
H 5.620 -0.303 -1.774
H 3.670 0.079 -0.063
H 9.299 0.099 0.978
C 6.293 -4.203 3.633
C 4.779 -4.144 3.347
C 3.996 -3.055 4.080
F 4.063 -3.176 5.420
F 2.681 -3.119 3.749
F 4.240 -5.365 3.573
F 4.639 -3.914 2.012
O 6.740 -5.151 4.602
C 6.687 -4.783 5.950
C 5.698 -5.633 6.753
F 4.453 -5.563 6.238
F 5.624 -5.190 8.031
F 6.449 -3.461 6.054
F 7.930 -4.979 6.441
H 6.755 -4.541 2.704
********

Now how often do you do the cabling twist row? Generally, if I have a cable that is X stitches across, I will have the cable repeat every X rows. In this case, since the cable is 12 stitches across, I did the cabling twist every 12th row. The first cabling twist happened on the 9th row, as I like to have cables start 2/3rds in. (You might think I miscalculated there, but while I am doing the twist on row 9, the twist appears between rows 8 and 9, so the row 8 is actually the end of the cable. Row 9 is the start of the next cable repeat.)

As for what to put around the cable, I used Irish moss stitch. On the version that I made for my nieces years ago, I used seed stitch. Garter stitch would be another good option. Here, I used 12 stitches on either side of the cable (so the scarf was a total of 36 stitches). Do whatever is pleasing to your eye. In general, I like tend to like have my stitch numbers relate to each other somehow, partly because it makes it easier to remember things, and because I am an engineer that study pattern recognition for my graduate work. TMI, I know.

One final note for the pattern, I slipped the first stitch and purled the last stitch of each row to give me a nice edges. For things like garter stitch and seed stitch, I don’t always do this, however.

And finally, on a personal note, thank you all for your thoughts and prayers in the past week. They are very much appreciated

Copyright 2012 by G. P. Donohue for


3 responses to “Reversible Cable Scarf”

  1. I’m amazed at how nicely all the colors line up in your scarf, it turned out beautifully! The reversible cable is very nice as one-sided scarves can be a little irritating, like when I need to gently remind Al to flip his scarf over. I appreciate your edging technique, too.
    I hope you and your family are doing as well as possible during this difficult time.

  2. Love the reversible cables, how nice of you to write it out for us!

  3. Hannah K Avatar
    Hannah K

    I agree with Lyn. Thank you for writing this! I didn’t even think of using a 1-1 rib to make the back look neater for cable work. Now it’s just obvious… and my future projects will be vastly improved by your shared wisdom.

    Also, LOVE the dye job. It’s just gorgeous.